# Data
Here is an optimized crystal structure of KMgCN2 from the Alexandria database. Energies are from PBE-GGA.

Properties
* space group: Pmma (51)
* raw formation energy: -0.300 eV/atom
* crystal system: orthorhombic

a = 6.5502 Å, b = 5.1983 Å, c = 5.3420 Å
α = 90.00°, β = 90.00°, γ = 90.00°
With the nearest neighbours (Å) after each atom.
Element x y z (fractional)
K 0.2500 0.0000 0.0021  4 C 3.07, 2 K 3.28, 8 N 3.31-3.32
K 0.7500 0.0000 0.9979  4 C 3.07, 2 K 3.28, 8 N 3.31-3.32
Mg 0.2500 0.5000 0.5004  4 N 2.17
Mg 0.7500 0.5000 0.4996  4 N 2.17
C 0.0000 0.5000 0.0000  2 N 1.24
C 0.5000 0.5000 0.0000  2 N 1.24
N 0.0002 0.5000 0.2323  1 C 1.24
N 0.9998 0.5000 0.7677  1 C 1.24
N 0.4998 0.5000 0.2323  1 C 1.24

# Job
What is needed: give back every line further up that contains the word "Mg".

# Completed
Mg 0.2500 0.5000 0.5004  4 N 2.17
Mg 0.7500 0.5000 0.4996  4 N 2.17